John Crocker had expected to see a flat line — a familiar horizontal track with some slight peaks and valleys — but the plot of energy in front of him dove sharply downward.
“It’s a once-in-a-lifetime finding,” says Crocker. “It was as if the simulation had unexpectedly fallen into a deep canyon on an energy surface. This was lucky for two reasons. Firstly, it turned out to be a game changer for our study of glassy materials. And secondly, similar canyons have the potential to help others grappling with the same computational obstacles we face in our field, from computer scientists working on machine learning algorithms to bioengineers studying protein folding. We ended up with significant results because we were curious enough to try a method that shouldn’t have worked. But it did.”
The method is metadynamics, a computational approach to exploring energy landscapes. Its counterintuitive application is the subject of a recent publication in PNAS from a group of Penn Engineers at the University of Pennsylvania led by Crocker, Professor and Graduate Group Chair in the Department of Chemical and Biomolecular Engineering (CBE), along with Robert Riggleman, Associate Professor in CBE, and Amruthesh Thirumalaiswamy, Ph.D. student in CBE.
Most solids are glasses (or glassy). We categorize the rest as crystals. These categorizations are not limited to glass or crystal as we might imagine them, but instead indicate how atoms in any solid are arranged. Crystals have neat, repetitive atomic structures. Glasses, however, are amorphous. Their atoms and molecules take on a vast number of disordered configurations.
Glassy configurations get stuck while pursuing — as all systems do — their most stable, lowest energy states. Given enough time, glasses will still very slowly relax in energy, but their disordered atoms make it a slow and difficult process.
Low-energy, stable glasses, or “ideal glasses,” are the key to a storehouse of knowledge that researchers are keen to unlock.
**These crystal structures were left in the page by mistake**
- - -
Entry 1:
Material: CrInBr2
Method: DFT, PBE
State: optimized geometry

Results
- Total energy: -3.9721 eV/atom
- V: 29.40 A^3/atom
- ΔE_f (raw): -0.05 eV per atom
- Symmetry: I-4m2 (119)
- Total magnetic moment: 5.00 Bohr magnetons per cell

Lattice parameters (Å, degrees): 7.128 7.128 7.128 145.16 145.16 50.09
Sites, in units of the cell vectors:
Br: 0.000 0.000 0.000
Br: 0.250 0.750 0.500
Cr: 0.500 0.500 0.000
In: 0.750 0.250 0.500


Entry 2:
Material: CrInBr2
Method: DFT, PBE
State: optimized geometry

Results
- Total energy: -4.0459 eV/atom
- V: 25.98 A^3/atom
- ΔE_f (raw): -0.12 eV per atom
- Symmetry: P4/mmm (123)
- Total magnetic moment: 4.97 Bohr magnetons per cell

Lattice parameters (Å, degrees): 3.586 3.586 8.081 90.00 90.00 90.00
Sites, in units of the cell vectors:
Br: 0.000 0.000 0.041
Br: 0.000 0.000 0.459
Cr: 0.500 0.500 0.250
In: 0.500 0.500 0.750


> Among the records above, which one has the highest total energy?

number 1

~~~~~

# 1
Density functional theory data (PBE) for an optimized crystal structure of Pr4CoS2Cl.

a = 7.226 Å, b = 3.993 Å, c = 7.272 Å
α = 90.00°, β = 108.56°, γ = 90.00°
Element x y z (fractional)
Pr 0.237 0.000 0.228
Pr 0.261 0.500 0.767
Pr 0.739 0.500 0.233
Pr 0.763 0.000 0.772
Co 0.000 0.500 0.000
S 0.500 0.000 0.000
S 0.500 0.500 0.500
Cl 0.000 0.000 0.500

## Properties
D(E_F)	6.0	states/eV/f.u.
V	24.86	Å³ per atom
mass density	6029	kg/m³
energy relative to the elements, uncorrected	-10.8	eV/f.u.



# 2
Density functional theory data (PBE) for an optimized crystal structure of TbPm6Th.

a = 5.130 Å, b = 5.130 Å, c = 10.256 Å
α = 90.00°, β = 90.00°, γ = 90.00°
Element x y z (fractional)
Tb 0.000 0.000 0.000
Pm 0.000 0.500 0.253
Pm 0.000 0.500 0.747
Pm 0.500 0.000 0.253
Pm 0.500 0.000 0.747
Pm 0.500 0.500 0.000
Pm 0.500 0.500 0.500
Th 0.000 0.000 0.500

## Properties
formation energy from the elements	0.036	eV per atom
D(E_F)	11.6	states/eV/f.u.
V	33.73	Å³ per atom
mass density	7759	kg/m³

~~~~~

1) VASP calculation (PBE) on a geometry-optimized CoCSeBr2 structure.

Calculated values
Space-group type   P4/mmm
Total magnetization   0.00 μB/atom

a b c (Å): 4.890 4.890 4.498
angles (deg): 90.00 90.00 90.00
Positions (direct):
C  0.500  0.500  0.500
Co  0.000  0.000  0.000
Se  0.000  0.000  0.500
Br  0.000  0.500  0.000
Br  0.500  0.000  0.000

2) VASP calculation (PBE) on a geometry-optimized CoCSeBr2 structure.

Calculated values
Space-group type   P4/mmm
Total magnetization   0.56 μB/atom

a b c (Å): 4.767 4.767 4.322
angles (deg): 90.00 90.00 90.00
Site moments in Bohr magnetons follow the coordinates.
Positions (direct):
C  0.000  0.000  0.000  -0.01
Co  0.500  0.500  0.500  2.27
Se  0.000  0.000  0.500  0.19
Br  0.000  0.500  0.000  0.09
Br  0.500  0.000  0.000  0.09

Going by the computed energies, the most stable comes first: 2), 1).
- - -
Seeking to understand and eventually replicate the conditions of glassy materials that overcome the obstacles of their own atomic quirks, scientists use both experimental and theoretical approaches.
Labs have, for example, melted and re-cooled fossilized amber to develop processes for recreating the encouraging effects that millions of years have had on its glassy pursuit of low-energy states. Crocker’s team, affiliated with the cross-disciplinary Penn Institute for Computational Science (PICS), explores physical structures with mathematical models.
“We use computational models to simulate the positions and movements of atoms in different glasses,” says Thirumalaiswamy. “In order to keep track of a material’s particles, which are so numerous and dynamic they are impossible to visualize in three dimensions, we need to represent them mathematically in high-dimensional virtual spaces. If we have 300 atoms, for example, we need to represent them in 900 dimensions. We call these energy landscapes. We then investigate the landscapes, navigating them almost like explorers.”
In these computational models, single configuration points, digests of atomic movement, tell the story of a glass’ energy levels. They show where a glass has gotten stuck and where it might have achieved a low-energy state.
The problem is that until now, researchers have not been able to navigate landscapes efficiently enough to find these rare instances of stability.
“Most studies do random walks around high-dimensional landscapes at enormous computational cost. It would take an infinite amount of time to find anything of interest. The landscapes are immense, and these walks are repetitive, wasting large amounts of time fixed in a single state before moving on to the next one,” says Riggleman.
And so, they took a chance in trying metadynamics, a method that seemed destined to fail.
Metadynamics is an algorithmic strategy developed to explore the entire landscape and avoid repetition. It assigns a penalty for going back to the same place twice. Metadynamics never works in high-dimensional spaces, however, because it takes too long to construct the penalties, canceling out the strategy’s potential for efficiency.
Yet as the researchers watched their configuration energy trend downward, they realized it had succeeded.
“We couldn’t have guessed it, but the landscapes proved to have these canyons with floors that are only two- or three-dimensional,” says Crocker. “Our algorithm literally fell right in. We found regularly occurring low-energy configurations in several different glasses with a method we think could be revolutionary for other disciplines as well.”
The potential applications of the Crocker Lab canyons are wide-ranging.
In the two decades since the Human Genome Project finished its mapping, scientists have been using computational models to fold peptide sequences into proteins. Proteins that fold well in nature have, through evolution, found ways to explore low-energy states analogous to those of ideal glasses.
Theoretical studies of proteins use energy landscapes to learn about the folding processes that create the functional (or dysfunctional) foundations for biological health. Yet measuring these structures takes time, money and energy that scientists and the populations they aim to serve don’t have to spare. Bogged down by the same computational inefficiencies that glassy materials researchers face, genomic scientists may find similar successes with metadynamics-based approaches, accelerating the pace of medical research.
Machine learning processes have a lot in common with random walks in high-dimensional space. Training artificial intelligence takes an enormous amount of computational time and power and has a long way to go in terms of predictive accuracies.
A neural net needs to “see,” for example, thousands to millions of faces in order to acquire enough skill for facial recognition. With a more strategic computational process, machine learning could become faster, cheaper and more accessible. The metadynamics algorithm may have the potential to overcome the need for the huge and costly datasets typical of the process.
Not only would this provide solutions for industry efficiency, but it could also democratize AI, allowing people with modest resources to do their own training and development.
“We’re conjecturing that the landscapes in these different fields have similar geometric structures to ours,” says Crocker. “We suspect there might be a deep mathematical reason for why these canyons exist, and they may be present in these other related systems. This is our invitation; we look forward to the dialogue it begins.”
This work was supported by NSF-Division of Material Research 1609525 and 1720530 and computational resources provided by XSEDE (Extreme Science and Engineering Discovery Environment) through TG-DMR150034.